### Exercise
Say how many lines of the notes below hold the word "species", as a bare number.

### Listing
=====
[1]
18
Properties=species:S:1:pos:R:3:nbo_charge:R:1 method="wB97M-V/def2-TZVPD" e_tot_ev=-11377.6588 e_above_lowest_kcal_mol=213.2 homo_energy_ev=-8.355 orbital_gap_ev=4.4
O -2.62240 0.00410 1.47572 -1.129
C -0.44139 0.08039 -0.65613 0.422
N -1.70284 -0.40231 -0.86735 -0.876
C 0.62617 -0.75264 -1.08590 0.092
C -0.35084 1.41855 0.02686 -0.742
N 1.89474 -0.96020 -0.61463 -0.460
C 2.20142 -0.53696 0.82660 0.093
O 2.79481 0.60260 0.87179 -0.622
H -2.19345 -0.36460 0.10873 0.462
H -2.20475 -0.20493 -1.71231 0.422
H 0.27409 -1.45985 -1.84297 0.231
H -1.09540 1.29026 0.82423 0.345
H -0.86288 2.06630 -0.68962 0.255
H 0.66017 1.64732 0.33821 0.258
H 2.63299 -0.53427 -1.19339 0.422
H 2.78047 -1.36659 1.24068 0.199
H 1.16232 -0.62255 1.26564 0.182
H -3.55324 0.09536 1.68385 0.446



[2]
13
Properties=species:S:1:pos:R:3:nbo_charge:R:1 method="wB97M-V/def2-TZVPD" e_tot_ev=-7799.6021 smiles="O=C1CCCN1" e_above_lowest_kcal_mol=1.0 homo_energy_ev=-9.538 orbital_gap_ev=10.5
O -1.29439 1.41678 -1.72605 -0.602
C -0.68947 0.67735 -0.97796 0.681
C 0.77575 0.78684 -0.56396 -0.514
C 0.97320 -0.27978 0.52853 -0.412
C -0.44541 -0.82492 0.82451 -0.211
N -1.20918 -0.42467 -0.34500 -0.622
H 1.40222 0.61392 -1.44589 0.238
H 0.96813 1.80838 -0.22063 0.234
H 1.62413 -1.08684 0.17958 0.212
H 1.42389 0.13764 1.43326 0.216
H -0.45650 -1.91160 0.95784 0.198
H -0.86044 -0.36799 1.73382 0.179
H -2.21192 -0.54510 -0.37803 0.403



[3]
74
Properties=species:S:1:pos:R:3:lowdin_charge:R:1 method="wB97M-V/def2-TZVPD" e_tot_ev=-64886.6200 e_above_lowest_kcal_mol=144.1 homo_energy_ev="-6.725 / -6.727" orbital_gap_ev="5.6 / 5.5"
Pb 0.67061 -2.83813 0.64942 1.436
C -1.07514 -4.29156 0.09833 -0.350
C -1.81119 -3.42466 -0.68543 -0.162
C -3.05620 -2.77692 -0.24431 -0.175
C -3.00659 -2.28848 1.21562 -0.168
C -1.66344 -1.87567 1.69301 -0.150
C -0.73315 -2.61028 2.42724 -0.345
C -0.87484 -4.12008 2.60599 -0.239
C -1.55088 -4.82153 1.43129 -0.192
C 2.90838 0.13830 0.80023 0.020
H -0.34158 -4.94729 -0.37259 0.085
H -1.58240 -3.34154 -1.74289 0.107
H -3.88459 -3.47285 -0.39725 0.126
H -3.30167 -1.90215 -0.85874 0.114
H -3.58589 -1.36217 1.23528 0.116
H -3.58675 -2.95041 1.87368 0.124
H -1.58679 -0.79680 1.80873 0.061
H -0.24677 -2.05864 3.23144 0.110
H -1.48984 -4.18822 3.48969 0.122
H 0.05731 -4.65167 2.85345 0.111
H -1.28337 -5.88020 1.45303 0.122
H -2.63762 -4.80567 1.56631 0.114
H 3.84134 -0.35298 0.47957 0.002
H 2.80732 0.38835 1.86849 -0.050
H 2.53134 0.86622 0.06217 -0.079
P 0.30268 2.01521 1.10417 1.125
P 0.78389 1.27004 -2.13423 1.116
N 0.00041 1.35684 2.86293 -0.196
N -0.55133 3.44420 1.47142 -0.306
N 1.20987 -0.53030 -1.93351 -0.174
N 0.52158 1.12751 -3.81759 -0.306
C -1.02477 1.17844 0.13645 -0.425
C -0.96221 1.32961 -1.39443 -0.367
C 1.04057 0.90707 3.68170 -0.162
C 0.50403 0.37121 4.84151 -0.104
C -0.91412 0.47786 4.73108 -0.107
C -1.19787 1.07750 3.51090 -0.167
C -0.00230 4.41727 2.32509 -0.131
C -0.75990 5.58448 2.23613 -0.080
C -1.85240 5.32727 1.32118 -0.076
C -1.69657 4.00685 0.90976 -0.150
C 2.50292 -1.09126 -1.93553 -0.126
C 2.45643 -2.46774 -1.79159 -0.086
C 1.03729 -2.81406 -1.65317 -0.329
C 0.33464 -1.54810 -1.60463 -0.284
C -0.31073 0.23494 -4.50054 -0.140
C -0.18164 0.46597 -5.86828 -0.080
C 0.79799 1.51356 -6.04787 -0.077
C 1.23494 1.88659 -4.77806 -0.109
H -2.02803 1.41118 0.54764 0.083
H -0.85388 0.12046 0.37065 0.020
H -1.65751 0.58634 -1.81659 0.069
H -1.39409 2.31458 -1.62282 0.078
H 2.06627 0.99650 3.35848 0.075
H 1.07523 -0.04066 5.65791 0.091
H -1.63366 0.15785 5.45776 0.087
H -2.14814 1.32284 3.05638 0.105
H 0.91741 4.21829 2.85533 0.104
H -0.58331 6.51482 2.77463 0.096
H -2.65731 6.00655 1.01725 0.098
H -2.26896 3.42703 0.21657 0.079
H 3.41183 -0.49025 -1.97832 0.040
H 3.32869 -3.14487 -1.72447 0.123
H 0.61408 -3.80744 -1.78994 0.088
H -0.69499 -1.37917 -1.82640 0.074
H -0.92480 -0.45364 -3.94418 0.087
H -0.73032 -0.03646 -6.64320 0.087
H 1.10501 1.93451 -6.99262 0.094
H 1.96172 2.62294 -4.46670 0.106
N 4.72577 0.97691 -1.97227 0.056
=====

### Outcome
3